Entries:
........
No. 1
This entry pairs a crystal structure of Rb3Mg2H8 with its calculated powder diffraction line list. Radiation: Cu Ka. Structure: a crystal structure in Alexandria, relaxed with PBE.
Intensities are scaled so that the largest is 100.

Structural model:
Unit cell a=8.180 b=8.180 c=8.180 alpha=44.49 beta=44.49 gamma=44.49
Positions (direct):
Rb  0.000  0.000  0.000
Rb  0.206  0.206  0.206
Rb  0.794  0.794  0.794
Mg  0.416  0.416  0.416
Mg  0.584  0.584  0.584
H  0.230  0.727  0.727
H  0.273  0.273  0.770
H  0.273  0.770  0.273
H  0.332  0.332  0.332
H  0.668  0.668  0.668
H  0.727  0.230  0.727
H  0.727  0.727  0.230
H  0.770  0.273  0.273

The 10 most intense peaks (2θ = 5–70°), by angle:
2θ (°)  I (rel.)
17.01  23
23.12  27
26.14  100
28.83  85
39.31  35
44.38  20
47.28  16
49.47  34
51.08  17
62.17  14

***

No. 2
This entry pairs a crystal structure of ZrSb2Se with its calculated powder diffraction line list. Radiation: Cu Ka. Structure: a crystal structure in Alexandria, relaxed with PBE.
Intensities are scaled so that the largest is 100.

Structural model:
Unit cell a=5.781 b=5.781 c=5.503 alpha=113.72 beta=113.72 gamma=38.57
Positions (direct):
Zr  0.000  0.000  0.000
Sb  0.529  0.529  0.434
Sb  0.716  0.716  0.995
Se  0.348  0.348  0.636

The 10 most intense peaks (2θ = 5–70°), by angle:
2θ (°)  I (rel.)
25.00  34
28.49  65
30.46  32
32.93  52
33.10  100
34.66  83
36.07  54
45.66  29
47.63  46
55.77  27

***

No. 3
This entry pairs a crystal structure of Ta2Sn2S7 with its calculated powder diffraction line list. Radiation: Cu Ka. Structure: a crystal structure in Alexandria, relaxed with PBE.
Intensities are scaled so that the largest is 100.

Structural model:
Unit cell a=8.763 b=8.763 c=8.763 alpha=156.89 beta=68.53 gamma=116.50
Positions (direct):
Ta  0.000  0.000  0.000
Ta  0.644  0.144  0.500
Sn  0.111  0.792  0.319
Sn  0.473  0.792  0.681
S  0.202  0.702  0.500
S  0.261  0.088  0.173
S  0.451  0.561  0.890
S  0.671  0.561  0.110
S  0.760  0.359  0.401
S  0.915  0.088  0.827
S  0.958  0.359  0.599

The 10 most intense peaks (2θ = 5–70°), by angle:
2θ (°)  I (rel.)
12.22  71
20.77  100
22.86  64
29.71  47
29.90  62
32.65  83
36.97  47
37.21  91
46.72  47
51.03  41

***

No. 4
This entry pairs a crystal structure of Pr3W2N7 with its calculated powder diffraction line list. Radiation: Cu Ka. Structure: a crystal structure in Alexandria, relaxed with PBE.
Intensities are scaled so that the largest is 100.

Structural model:
Unit cell a=10.863 b=10.863 c=3.915 alpha=90.00 beta=90.00 gamma=158.63
Positions (direct):
Pr  0.000  0.000  0.000
Pr  0.177  0.823  0.000
Pr  0.823  0.177  0.000
W  0.402  0.598  0.500
W  0.598  0.402  0.500
N  0.094  0.906  0.500
N  0.308  0.692  0.500
N  0.404  0.596  0.000
N  0.500  0.500  0.500
N  0.596  0.404  0.000
N  0.692  0.308  0.500
N  0.906  0.094  0.500

The 10 most intense peaks (2θ = 5–70°), by angle:
2θ (°)  I (rel.)
16.61  24
28.27  26
30.51  90
32.16  100
34.05  68
45.01  26
46.38  24
56.54  33
57.62  31
57.75  33

***

No. 5
This entry pairs a crystal structure of La5Zn6 with its calculated powder diffraction line list. Radiation: Cu Ka. Structure: a crystal structure in Alexandria, relaxed with PBE.
Intensities are scaled so that the largest is 100.

Structural model:
Unit cell a=9.128 b=9.128 c=9.128 alpha=146.67 beta=131.33 gamma=60.27
Positions (direct):
La  0.000  0.000  0.000
La  0.173  0.673  0.500
La  0.351  0.351  0.000
La  0.649  0.649  0.000
La  0.827  0.327  0.500
Zn  0.074  0.831  0.244
Zn  0.221  0.500  0.721
Zn  0.413  0.169  0.244
Zn  0.587  0.831  0.756
Zn  0.779  0.500  0.279
Zn  0.926  0.169  0.756

The 10 most intense peaks (2θ = 5–70°), by angle:
2θ (°)  I (rel.)
23.60  11
33.93  100
34.07  23
34.26  26
48.40  9
49.09  16
60.51  8
60.63  9
60.90  14
61.14  18

***

No. 6
This entry pairs a crystal structure of Na3Hg2S2I3 with its calculated powder diffraction line list. Radiation: Cu Ka. Structure: a crystal structure in Alexandria, relaxed with PBE.
........

Work order:
Set down the contents earlier on character by character.

Here it is:
No. 1
This entry pairs a crystal structure of Rb3Mg2H8 with its calculated powder diffraction line list. Radiation: Cu Ka. Structure: a crystal structure in Alexandria, relaxed with PBE.
Intensities are scaled so that the largest is 100.

Structural model:
Unit cell a=8.180 b=8.180 c=8.180 alpha=44.49 beta=44.49 gamma=44.49
Positions (direct):
Rb  0.000  0.000  0.000
Rb  0.206  0.206  0.206
Rb  0.794  0.794  0.794
Mg  0.416  0.416  0.416
Mg  0.584  0.584  0.584
H  0.230  0.727  0.727
H  0.273  0.273  0.770
H  0.273  0.770  0.273
H  0.332  0.332  0.332
H  0.668  0.668  0.668
H  0.727  0.230  0.727
H  0.727  0.727  0.230
H  0.770  0.273  0.273

The 10 most intense peaks (2θ = 5–70°), by angle:
2θ (°)  I (rel.)
17.01  23
23.12  27
26.14  100
28.83  85
39.31  35
44.38  20
47.28  16
49.47  34
51.08  17
62.17  14

***

No. 2
This entry pairs a crystal structure of ZrSb2Se with its calculated powder diffraction line list. Radiation: Cu Ka. Structure: a crystal structure in Alexandria, relaxed with PBE.
Intensities are scaled so that the largest is 100.

Structural model:
Unit cell a=5.781 b=5.781 c=5.503 alpha=113.72 beta=113.72 gamma=38.57
Positions (direct):
Zr  0.000  0.000  0.000
Sb  0.529  0.529  0.434
Sb  0.716  0.716  0.995
Se  0.348  0.348  0.636

The 10 most intense peaks (2θ = 5–70°), by angle:
2θ (°)  I (rel.)
25.00  34
28.49  65
30.46  32
32.93  52
33.10  100
34.66  83
36.07  54
45.66  29
47.63  46
55.77  27

***

No. 3
This entry pairs a crystal structure of Ta2Sn2S7 with its calculated powder diffraction line list. Radiation: Cu Ka. Structure: a crystal structure in Alexandria, relaxed with PBE.
Intensities are scaled so that the largest is 100.

Structural model:
Unit cell a=8.763 b=8.763 c=8.763 alpha=156.89 beta=68.53 gamma=116.50
Positions (direct):
Ta  0.000  0.000  0.000
Ta  0.644  0.144  0.500
Sn  0.111  0.792  0.319
Sn  0.473  0.792  0.681
S  0.202  0.702  0.500
S  0.261  0.088  0.173
S  0.451  0.561  0.890
S  0.671  0.561  0.110
S  0.760  0.359  0.401
S  0.915  0.088  0.827
S  0.958  0.359  0.599

The 10 most intense peaks (2θ = 5–70°), by angle:
2θ (°)  I (rel.)
12.22  71
20.77  100
22.86  64
29.71  47
29.90  62
32.65  83
36.97  47
37.21  91
46.72  47
51.03  41

***

No. 4
This entry pairs a crystal structure of Pr3W2N7 with its calculated powder diffraction line list. Radiation: Cu Ka. Structure: a crystal structure in Alexandria, relaxed with PBE.
Intensities are scaled so that the largest is 100.

Structural model:
Unit cell a=10.863 b=10.863 c=3.915 alpha=90.00 beta=90.00 gamma=158.63
Positions (direct):
Pr  0.000  0.000  0.000
Pr  0.177  0.823  0.000
Pr  0.823  0.177  0.000
W  0.402  0.598  0.500
W  0.598  0.402  0.500
N  0.094  0.906  0.500
N  0.308  0.692  0.500
N  0.404  0.596  0.000
N  0.500  0.500  0.500
N  0.596  0.404  0.000
N  0.692  0.308  0.500
N  0.906  0.094  0.500

The 10 most intense peaks (2θ = 5–70°), by angle:
2θ (°)  I (rel.)
16.61  24
28.27  26
30.51  90
32.16  100
34.05  68
45.01  26
46.38  24
56.54  33
57.62  31
57.75  33

***

No. 5
This entry pairs a crystal structure of La5Zn6 with its calculated powder diffraction line list. Radiation: Cu Ka. Structure: a crystal structure in Alexandria, relaxed with PBE.
Intensities are scaled so that the largest is 100.

Structural model:
Unit cell a=9.128 b=9.128 c=9.128 alpha=146.67 beta=131.33 gamma=60.27
Positions (direct):
La  0.000  0.000  0.000
La  0.173  0.673  0.500
La  0.351  0.351  0.000
La  0.649  0.649  0.000
La  0.827  0.327  0.500
Zn  0.074  0.831  0.244
Zn  0.221  0.500  0.721
Zn  0.413  0.169  0.244
Zn  0.587  0.831  0.756
Zn  0.779  0.500  0.279
Zn  0.926  0.169  0.756

The 10 most intense peaks (2θ = 5–70°), by angle:
2θ (°)  I (rel.)
23.60  11
33.93  100
34.07  23
34.26  26
48.40  9
49.09  16
60.51  8
60.63  9
60.90  14
61.14  18

***

No. 6
This entry pairs a crystal structure of Na3Hg2S2I3 with its calculated powder diffraction line list. Radiation: Cu Ka. Structure: a crystal structure in Alexandria, relaxed with PBE.